Input:
+++
Compound: FeOF
Source: the Materials Project database
Functional: GGA+U
Structure: optimized geometry

ρ	4.4	g/cm³
ΔH_f (0 K)	-6.08	eV per formula unit
total moment	5.00	μB per formula unit

Geometry as CIF:
```
data_FeOF
_chemical_formula_sum 'Fe6 O6 F6'
_space_group_name_H-M_alt 'P 1 m 1'
_space_group_IT_number 6
_cell_length_a 4.722
_cell_length_b 3.100
_cell_length_c 14.019
_cell_angle_alpha 90.00
_cell_angle_beta 90.03
_cell_angle_gamma 90.00
loop_
_space_group_symop_operation_xyz
'x,y,z'
'x,-y,z'
loop_
_atom_site_label
_atom_site_type_symbol
_atom_site_fract_x
_atom_site_fract_y
_atom_site_fract_z
Fe1 Fe 0.000 0.000 0.000
Fe2 Fe 0.000 0.000 0.336
Fe3 Fe 0.057 0.000 0.692
Fe4 Fe 0.492 0.500 0.533
Fe5 Fe 0.493 0.500 0.857
Fe6 Fe 0.498 0.500 0.194
O1 O 0.216 0.500 0.750
O2 O 0.313 0.000 0.249
O3 O 0.317 0.000 0.590
O4 O 0.323 0.000 0.917
O5 O 0.808 0.500 0.288
O6 O 0.811 0.500 0.951
F1 F 0.205 0.500 0.084
F2 F 0.211 0.500 0.420
F3 F 0.706 0.000 0.119
F4 F 0.707 0.000 0.460
F5 F 0.730 0.000 0.780
F6 F 0.832 0.500 0.621
```

----------

Entry from Materials Project: a relaxed Sr3Fe2O4F4 crystal (GGA+U).

Cell and atoms, written as extended XYZ:
```
13
Lattice="-1.9837 1.9837 11.3090 1.9837 -1.9837 11.3090 1.9837 1.9837 -11.3090" Properties=species:S:1:pos:R:3 pbc="T T T"
F 0.0000 0.0000 0.0000
O 0.0000 1.9837 9.2315
Fe 0.0000 0.0000 2.0632
O 1.9837 0.0000 1.9659
F 0.0000 0.0000 4.0701
F 0.0000 0.0000 18.5480
Sr 0.0000 0.0000 7.4200
F 1.9837 0.0000 5.6545
Sr 0.0000 0.0000 11.3090
O 1.9837 0.0000 9.3431
Fe 0.0000 0.0000 20.5549
O 0.0000 1.9837 2.0775
Sr 0.0000 0.0000 15.1981
```

## Properties
crystal system: tetragonal
total energy after the MP2020 corrections: -6.722 eV per atom
size of the total moment: 10.0 μB per cell
volume: 178.0 Å³/cell

Entry from Materials Project: a relaxed Na2Fe3P3O12 crystal (GGA+U).

Cell and atoms, written as extended XYZ:
```
40
Lattice="6.3281 5.9604 0.0000 -6.3281 5.9604 0.0000 0.0000 2.7144 6.0303" Properties=species:S:1:pos:R:3 pbc="T T T"
Fe -2.9149 7.9963 4.5228
O -2.2208 11.4877 4.8540
O 2.2208 3.1476 1.1763
Na 6.1287 7.9963 4.5228
O -4.2603 6.4694 5.3524
O -1.2707 9.3046 4.0241
O 1.2707 7.9474 1.0089
P -2.6429 6.6390 1.5076
O -3.5438 6.7156 2.7849
O 1.6913 6.7831 4.5517
O 0.0122 11.5235 3.6541
P 1.3719 3.8216 2.3074
O -4.2603 9.5232 3.6931
Fe 2.0524 4.9800 5.2779
O -1.2707 6.6880 5.0214
Na 0.0000 5.9604 0.0000
O 0.0122 4.4691 5.3914
O -0.0122 10.1663 0.6389
O -1.6913 7.8522 1.4787
O 3.5438 7.9197 3.2454
P 1.3719 9.4565 0.7078
Fe -2.0524 3.6228 2.2627
Fe 2.9149 6.6390 1.5076
O 2.2208 10.1304 1.8388
Fe -2.0524 9.6553 0.7524
O -3.5438 6.5625 0.2303
O -0.0122 3.1118 2.3763
O -2.2208 4.5049 4.1915
Na 0.0000 7.3177 3.0152
O 3.5438 8.0728 5.8001
O 4.2603 5.1121 2.3372
Na -6.1287 6.6390 1.5076
O 4.2603 8.1660 0.6779
Fe 2.0524 11.0125 3.7676
P 2.6429 7.9963 4.5228
P -1.3719 10.8138 3.7230
P -1.3719 5.1788 5.3225
O -1.6913 5.4258 1.5365
O 1.6913 9.2095 4.4938
O 1.2707 5.3307 2.0063
```

## Properties
crystal system: monoclinic
total energy after the MP2020 corrections: -7.574 eV per atom
size of the total moment: 26.0 μB per cell
volume: 454.9 Å³/cell
excess energy over the best structure of this formula in the dataset: 0.000 eV/atom

Entry from Materials Project: a relaxed FeOF crystal (GGA+U).

Cell and atoms, written as extended XYZ:
```
18
Lattice="-1.5875 -2.0173 -1.7449 0.7645 -3.3716 3.2025 -11.9543 3.5713 6.7474" Properties=species:S:1:pos:R:3 pbc="T T T"
F -4.9935 -2.2152 4.3435
O -8.9429 1.7097 6.1599
Fe -6.6247 -0.8748 4.2779
F -2.2488 -1.5048 3.7858
Fe -7.9825 2.3775 4.5139
Fe -2.2175 -2.1196 1.7074
F -3.8199 -0.7779 1.6140
F -4.9731 0.5096 3.9355
F -11.7910 1.6520 6.0570
Fe -4.0113 1.1962 2.2666
Fe -10.1749 0.2415 6.2174
F -10.2008 0.8575 8.2895
O -0.9664 -0.6578 1.6397
O -0.9342 -3.4997 2.1353
O -8.9169 -1.1387 6.6685
O -7.8565 0.5071 3.8010
Fe 0.6440 -3.3077 3.2383
O -6.2459 -0.3359 6.0710
```

## Properties
crystal system: monoclinic
+++

Work order:
It remains to give back the part of the entries earlier on that starts with the line with "1.5365" and stops after the one with "-2.2175 -2.1196".

Completed:
O -1.6913 5.4258 1.5365
O 1.6913 9.2095 4.4938
O 1.2707 5.3307 2.0063
```

## Properties
crystal system: monoclinic
total energy after the MP2020 corrections: -7.574 eV per atom
size of the total moment: 26.0 μB per cell
volume: 454.9 Å³/cell
excess energy over the best structure of this formula in the dataset: 0.000 eV/atom

Entry from Materials Project: a relaxed FeOF crystal (GGA+U).

Cell and atoms, written as extended XYZ:
```
18
Lattice="-1.5875 -2.0173 -1.7449 0.7645 -3.3716 3.2025 -11.9543 3.5713 6.7474" Properties=species:S:1:pos:R:3 pbc="T T T"
F -4.9935 -2.2152 4.3435
O -8.9429 1.7097 6.1599
Fe -6.6247 -0.8748 4.2779
F -2.2488 -1.5048 3.7858
Fe -7.9825 2.3775 4.5139
Fe -2.2175 -2.1196 1.7074